## To do
Your job: copy every line further below that contains the word "kcal".

## Entries
'''
# 1
Density functional theory data (the ωB97M-V functional and the def2-TZVPD basis) for a cluster of 3 separate species, C8H11NOS in total.

Geometry as XYZ:
```
22
Properties=species:S:1:pos:R:3:forces:R:3
H -2.14601 1.45252 1.05186 -1.8 0.4 0.1
C -1.12474 1.35771 0.87581 1.4 1.6 1.1
C -0.75163 0.53992 -0.15178 -0.6 0.5 -0.9
H -0.53086 2.70401 2.52360 -0.2 0.2 0.3
H 2.56833 0.49826 0.50823 -0.5 0.7 -0.2
H 2.01516 -0.91781 -1.10871 0.5 -0.1 -0.5
C -1.75185 0.07622 -1.19025 -0.9 -3.1 2.9
O -1.11821 -1.95634 0.63818 0.1 -0.1 1.8
S -0.96196 -0.98261 3.14788 0.1 0.4 1.4
C 0.59613 0.22627 -0.33525 1.2 1.0 1.0
C -0.22746 2.05857 1.72862 -0.2 -1.8 -1.5
H -2.82025 0.41910 -1.05004 1.5 0.0 -0.5
C 1.53658 0.89277 0.49145 -1.0 -1.9 -0.2
H -1.23071 0.27169 -2.06136 -0.1 0.7 -2.5
H 1.98148 2.10024 2.09431 -1.7 -0.1 -0.3
H -1.76996 -1.09107 -1.09723 -0.2 2.1 -0.6
C -1.04712 -1.49242 1.70712 -0.1 -1.6 -2.3
N 1.03629 -0.75828 -1.19715 -0.8 0.1 -0.1
H 2.10656 -3.34536 -2.65273 -0.1 0.3 -0.5
H 0.63419 -0.77905 -2.12366 0.3 -0.2 0.1
C 1.08581 1.72344 1.50002 2.9 1.1 1.1
H 1.92022 -2.99778 -3.29891 0.2 -0.3 0.4
```
Positions in Å, forces in eV/Å.

Results
Kohn-Sham gap ... 0.3214 Ha
Electronic energy ... -839.57218 hartree
Multiplicity ... 1
Relative energy (zero: lowest compared OMol25 entry of this formula, charge and spin) ... 26.77 kcal/mol

=====

# 2
Density functional theory data (the ωB97M-V functional and the def2-TZVPD basis) for a cluster of 2 separate species, C8H11NOS in total.

Geometry as XYZ:
```
22
Properties=species:S:1:pos:R:3:forces:R:3
H -0.48903 -3.03279 -0.43290 -2.2 0.9 -0.5
H 0.04062 -1.17064 1.89483 -0.9 -0.8 -0.5
H -1.88902 -2.18001 -1.50173 0.7 -1.0 0.9
H 3.19002 -0.83463 0.98091 -0.1 -0.7 -0.2
C 0.02865 1.67919 0.20635 -2.1 -1.5 -0.7
H -1.71605 -0.36937 -1.89869 -2.1 -0.8 -3.7
C -1.42329 -2.32774 -0.48916 1.1 -1.0 -0.3
H 0.68115 0.97227 2.02984 0.5 -0.1 0.9
C 0.50717 3.11533 0.24824 -0.8 -1.9 -0.3
C -0.34779 -0.58379 1.05946 0.8 -0.4 0.9
H -1.11909 1.95466 -1.64415 0.5 0.8 -0.3
H 0.91093 3.13259 -0.76636 0.6 1.2 0.4
H -2.19520 -2.70801 0.16188 -0.2 -0.3 0.3
C -0.76768 1.27684 -0.88838 -0.9 -0.5 -0.7
H 1.18164 3.24739 1.09458 0.1 0.4 -0.4
N 2.74001 -0.81931 0.06901 -0.6 0.8 -0.7
C 0.14254 0.67374 1.16300 0.8 3.0 0.0
S 1.69578 -1.71404 -0.53105 1.8 -1.8 1.5
C -1.28917 -0.01527 -1.08132 3.8 2.5 5.3
H -0.41281 3.70559 0.31143 0.5 0.4 0.1
O 1.51827 -3.04779 0.10599 0.0 1.7 -0.9
C -0.98764 -0.95424 -0.09180 -1.4 -1.0 -1.2
```
Positions in Å, forces in eV/Å.

Results
Kohn-Sham gap ... 0.3125 Ha
Electronic energy ... -839.53554 hartree
Multiplicity ... 1
Relative energy (zero: lowest compared OMol25 entry of this formula, charge and spin) ... 49.76 kcal/mol

=====

# 3
Density functional theory data (the ωB97M-V functional and the def2-TZVPD basis) for a structure of composition C8H11O2S.

Geometry as XYZ:
```
22
Properties=species:S:1:pos:R:3:forces:R:3
H -1.68824 -1.50182 2.14830 0.0 0.9 -1.2
H 3.48026 -1.25910 -1.06537 1.5 0.2 -0.4
C -0.45826 0.11723 0.97787 0.2 1.0 0.0
C -1.74600 -0.51653 1.59820 0.8 -1.3 -0.7
H 2.28625 0.98736 1.34408 -0.9 -0.1 1.5
S -2.62853 -0.26589 -0.04006 -4.9 4.3 0.9
C 2.43891 -1.31954 -1.08700 -0.8 1.5 0.9
C 2.28112 0.76558 0.31470 -0.5 -2.1 -0.6
O -2.77261 -1.37855 -0.95331 0.1 -0.1 0.4
C -1.09766 1.51622 -1.36673 0.8 -1.1 0.3
H 3.29391 0.78093 0.12897 2.3 0.5 -1.3
H 1.68493 1.42546 -0.22971 -0.3 2.1 -0.7
H -0.22946 -1.47188 -0.38374 0.4 -0.3 0.2
H -2.16602 0.20821 2.22649 -1.0 1.0 0.9
C 0.37158 -0.78480 0.22607 1.0 -2.3 -1.3
H -1.57202 1.26442 -2.33891 -0.3 0.2 1.1
C -1.25389 0.82872 -0.20809 -0.4 0.3 -1.4
H 0.21620 0.68726 1.66129 -1.3 0.2 -0.3
H 1.95269 -2.20807 -1.25383 -0.6 -2.3 -1.0
C 1.71447 -0.54757 -0.23947 -1.5 1.0 2.4
H -0.12369 1.92735 -1.51527 0.5 0.9 0.0
O -3.98394 0.74500 0.05551 5.0 -4.2 0.1
```
Positions in Å, forces in eV/Å.

Results
Kohn-Sham gap (spin up / spin down) ... 0.2042 / 0.2044 Ha
Electronic energy ... -859.90759 hartree
Multiplicity ... 1
Charge ... -1
'''

## Done
Relative energy (zero: lowest compared OMol25 entry of this formula, charge and spin) ... 26.77 kcal/mol
Relative energy (zero: lowest compared OMol25 entry of this formula, charge and spin) ... 49.76 kcal/mol